I would love to hear you experiences
I would love to hear you experiences
Hello, fellow plant lovers 🍃❤️
I just love having plants all around my house. Orchids in my office, Peace Lily in my living room, even a Senecio plant in my kitchen. It's just so relaxing and makes my home feel alive 🌿.
But, let's be honest, keeping them healthy and looking good can be hard work. That got me thinking, maybe some of us prefer to have fake plants that still make our homes look nice but require no maintenance.
So, what do you think? Do you like caring for real plants or do you prefer hassle free with fake plants? And if you have a favorite plant (fake or real), would you mind sharing a picture?
Can't wait to read your thoughts.
Paula 🌴
Hello everyone,
I prefer real plants but it is very difficult to get by the house to take proper care of them.
IKEA or a craft place can have some nice fake plants. One should make sure the housekeeping makes sure no dust is on the leaves. Many plants only need water 1x/week if not in an overly sunny or dry place. There are also some self watering containers you can stick in the pot and it can take care of the plant for you (I haven’t used them but some swear by them - check out Amazon or a local nursery for suggestions).
Snake plants have a long watering time between waterings, cactus also have low maintenance. Air plants should be near the sink or bathrooms to catch moisture in the air. They do best if spritzed every few days (depends on your climate if in a warm dry area you may need to do it daily). Bamboos are low maintenance as they just need water in their gravel filled pot) that should be easy to for housekeeping to do (whether it’s you or a cleaning crew).
prefer real but it's hard to keep up with the maintenance. trying to find realistic looking plants. suggestions?
Hey@Anthony1828, thanks for sharing this with us 😊 @Vilmaris0 in this thread has given us some ideas of great fake plants. Take a look and let us know what you think.
I love real plants, but I can see why fake plants are preferable for an air bnb. But yeah, dusty is bad. I like the succulent suggestion.
I do real plants inside and out. I have a lot of very short stays, so I can tend the plants and make sure they stay watered. I have several pothos plants because they are easy to take care of!
Hello @Heidi766 , I totally agree with you that pothos plants are the best! They're super low-maintenance and always look great. If you'd like, please feel free to share some pictures of your pothos plants. We'd love to see them!
Real plants. I mainly DON'T live in my airbnb's but have real plants there. Have the cleaners water weekly and they do fine.
Agree with other responses that fake plants in the airbnb's that I've often stayed in (and hotels) are usually very dusty and just subtract from the space.
The piece is interrupted by records of crystals =
<<<
Record 1
# MgMo2Br4O4 (PBE+U, relaxed)
# Energy of formation from the pure elements (eV per formula unit): -15.53
# E_tot (eV/atom): -5.09
data_MgMo2Br4O4
_chemical_formula_sum 'Mg1 Mo2 Br4 O4'
_symmetry_space_group_name_H-M 'P 1'
_symmetry_Int_Tables_number 1
_cell_length_a 3.862
_cell_length_b 7.902
_cell_length_c 8.791
_cell_angle_alpha 76.12
_cell_angle_beta 77.33
_cell_angle_gamma 89.94
loop_
_symmetry_equiv_pos_as_xyz
'x,y,z'
loop_
_atom_site_label
_atom_site_type_symbol
_atom_site_fract_x
_atom_site_fract_y
_atom_site_fract_z
Mg1 Mg 0.000 0.000 0.000
Mo1 Mo 0.583 0.780 0.832
Mo2 Mo 0.591 0.296 0.818
Br1 Br 0.418 0.717 0.153
Br2 Br 0.433 0.186 0.148
Br3 Br 0.728 0.859 0.534
Br4 Br 0.740 0.350 0.524
O1 O 0.074 0.788 0.851
O2 O 0.083 0.264 0.834
O3 O 0.569 0.032 0.862
O4 O 0.586 0.522 0.827

***

Record 2
# Mn4SiTeBr2O7 (PBE+U, relaxed)
# Energy of formation from the pure elements (eV per formula unit): -30.18
# E_tot (eV/atom): -6.79
data_Mn4SiTeBr2O7
_chemical_formula_sum 'Mn8 Si2 Te2 Br4 O14'
_symmetry_space_group_name_H-M 'P -1'
_symmetry_Int_Tables_number 2
_cell_length_a 5.592
_cell_length_b 6.575
_cell_length_c 13.194
_cell_angle_alpha 90.06
_cell_angle_beta 93.32
_cell_angle_gamma 90.12
loop_
_symmetry_equiv_pos_as_xyz
'x,y,z'
'-x,-y,-z'
loop_
_atom_site_label
_atom_site_type_symbol
_atom_site_fract_x
_atom_site_fract_y
_atom_site_fract_z
Mn1 Mn 0.041 0.250 0.324
Mn2 Mn 0.149 0.251 0.837
Mn3 Mn 0.354 0.005 0.133
Mn4 Mn 0.354 0.497 0.132
Si1 Si 0.156 0.750 0.939
Te1 Te 0.294 0.751 0.343
Br1 Br 0.149 0.250 0.518
Br2 Br 0.427 0.750 0.679
O1 O 0.103 0.547 0.271
O2 O 0.103 0.953 0.271
O3 O 0.121 0.251 0.112
O4 O 0.154 0.751 0.065
O5 O 0.294 0.539 0.909
O6 O 0.294 0.962 0.908
O7 O 0.492 0.249 0.767

***

Record 3
# MnZnBr4O6 (PBE+U, relaxed)
# Energy of formation from the pure elements (eV per formula unit): -2.98
# E_tot (eV/atom): -3.65
data_MnZnBr4O6
_chemical_formula_sum 'Mn4 Zn4 Br16 O24'
_symmetry_space_group_name_H-M 'P b a m'
_symmetry_Int_Tables_number 55
_cell_length_a 13.964
_cell_length_b 14.109
_cell_length_c 5.451
_cell_angle_alpha 90.00
_cell_angle_beta 90.00
_cell_angle_gamma 90.00
loop_
_symmetry_equiv_pos_as_xyz
'x,y,z'
'-x,-y,-z'
'-x,-y,z'
'x,y,-z'
'x+1/2,-y+1/2,-z'
'-x+1/2,y+1/2,z'
'-x+1/2,y+1/2,-z'
'x+1/2,-y+1/2,z'
loop_
_atom_site_label
_atom_site_type_symbol
_atom_site_fract_x
_atom_site_fract_y
_atom_site_fract_z
Mn1 Mn 0.000 0.000 0.000
Mn2 Mn 0.000 0.500 0.000
Zn1 Zn 0.195 0.200 0.500
Br1 Br 0.043 0.144 0.500
Br2 Br 0.116 0.429 0.500
Br3 Br 0.182 0.758 0.243
O1 O 0.041 0.405 0.250
O2 O 0.047 0.126 0.000
O3 O 0.108 0.555 0.000
O4 O 0.112 0.986 0.192

***

Record 4
# MnZnBr4O6 (PBE+U, relaxed)
# Energy of formation from the pure elements (eV per formula unit): -4.63
# E_tot (eV/atom): -3.79
data_MnZnBr4O6
_chemical_formula_sum 'Mn4 Zn4 Br16 O24'
_symmetry_space_group_name_H-M 'P b a m'
_symmetry_Int_Tables_number 55
_cell_length_a 9.866
_cell_length_b 14.669
_cell_length_c 10.690
_cell_angle_alpha 90.00
>>>
Plants are live and adding life to the space is paramount to setting mood.
Good question! Plants on both table and in corner
Real plants! I only have a peace lily and an African violet in the suite but outside I have a pot of red and geraniums, hosta plant with ferns, and a hanging flower basket.my space has tons of plants.
@Paula @Lorina14 @Nicholas439 @Heidi766 @Kelly1949 and others, Only real living plants and flowers for me, they are generally easy to care for, a bonus for the bees and butterflies and bring greater joy than plastic fake ones.
There's great easy care Maidenhair ferns that are perfect for Bathroom areas and used to be very much in Vogue back in the day, other areas of the home either inside or outside are personal preference.
At my other place I had a fabulous Swan Plant full of pretty flowers with early morning dewdrops on in the Springtime, and laden with Monarch caterpillars, then chrysalis and the gorgeous Monarchs when they had gone through Metamorphosis.
My guests all loved it and so did I.
Easy to care for and a great natural asset in one's garden and listing.
Try plant one, you will enjoy it
I love gardening! But I keep only one fake plant in the living room. All the real ones ain't the garden.
There is so much worth having specific plants that will enhance our well being, and add nature to our stay. So Real ones please 😉
I like real plants, however, it’s hard for me to keep them nice at my place because I don’t have good sunlight.
I have been lucky this year, I have 4 plants that are still alive 😅🍀
We prefer real plants. Calgary has a dry climate and plants can help with humidity levels. We get good sunlight too so 'real' works well. If our guests stay more than a week we kindly ask them to water the plants. They never have a problem with that.